Chennai: The leader in Tamil Current affairs and Infotainment space, Puthiyathalaimurai TV, has successfully completed six year of operation and today, it is stepping in to its 7th year. The Channel was launch in August 2011 and it has ascended to top spot in the Tamil News space in matter of six weeks.
Despite competition emerging from major broadcast and news media networks, Puthiyathalaimurai TV held its forte unshaken for all these years.
Puthiyathalaimurai TV could lead the market for all these years purely with its unmatchable quality standards in news dissemination. It also emerged as a trend setter in many aspects and stood as a responsible media entity that gives back to the society through empowerment of needy segments and acknowledgement of talents in various walks of life with its award properties like Tamizlan Award, Innovation Awards and Sakthi Awards for the empowerment of women achievers.

Speaking on their spectacular journey, RBU Shyam Kumar – CEO of New Gen Media said, “On this most promising day, I wish to reiterate that Good is the enemy of Great. So the message that I wish to convey my colleagues and teams across the network is that we have challenging times ahead and call the attention of everyone to gear up to move forward from being Good to the position of a Greatest News Media Network”
“Search within and distinguish themselves.Concentrate on what not to do..and move from chaos to concept, that’s exactly we as a brand should do, as an individual should do and as a Medium should do with out hanging on our laurels as even Usain Bolt lost it, so on behalf of the Group echo the importance of transforming from Good to Great to meet the challenging times ahead” added Shyam.

Speaking on the commercial growth aspect of the channel, Shankar Bala – the CEO of Fourth Dimension Media Solutions said, the channel was launched on the premise of quality. When the principle was set on quality automatically it shows results on the quantitative aspects and the channel became No. 1 in very short span of launch.
We managed to establish connect with all sections of society through our innovative programs and award properties through which we were able to add value to our advertisers also. Moreover, our channel is clean and clutter free in terms of advertising options that assures better recall value.
We are proud to say that we are very ethical in disseminating news without being greedy in making money out of Breaking News. Infact we went on extend non-stop ad-free coverage for 72 hours during the Jallikattu agitations happened last year. On the other hand we commanded the highest ad rates of Rs 25000 per 10 sec during the election results in May 2016, which is unachievable for even a national news channel.
Presently, we are working with as many as 200 brands from National and Regional markets who are extremely happy to associate with us due to the value that we have extended. I look forward to scale new heights in the coming days and association between Fourth Dimension and Puthiyathalaimurai has been always a win-win”
_Here the entry breaks off for crystal structures_
/*
This entry pairs a crystal structure of YMnO3 with its theoretical PXRD pattern. Radiation: Cu Kα (weighted mean of Kα1 and Kα2). Structure: a cell relaxed with PBE+U.
Neutral-atom scattering factors, no anomalous dispersion.

Cell and atoms:
a b c (Å): 5.889 7.496 5.336
angles (deg): 90.00 90.00 90.00
Element x y z (fractional)
Y1 0.083 0.250 0.018
Y2 0.417 0.750 0.518
Y3 0.583 0.250 0.482
Y4 0.917 0.750 0.982
Mn1 0.000 0.000 0.500
Mn2 0.000 0.500 0.500
Mn3 0.500 0.000 0.000
Mn4 0.500 0.500 0.000
O1 0.042 0.750 0.383
O2 0.173 0.556 0.800
O3 0.173 0.944 0.800
O4 0.327 0.056 0.300
O5 0.327 0.444 0.300
O6 0.458 0.250 0.883
O7 0.542 0.750 0.117
O8 0.673 0.556 0.700
O9 0.673 0.944 0.700
O10 0.827 0.056 0.200
O11 0.827 0.444 0.200
O12 0.958 0.250 0.617

Most intense lines, 10° ≤ 2θ ≤ 90°, most intense first:
hkl	d (Å)	I_rel
1 2 1	2.720	100
1 2 3	1.550	30
1 1 1	3.498	28
0 0 2	2.668	24
2 0 0	2.945	21
3 1 1	1.789	19
2 0 2	1.977	18
2 1 2	1.912	17
0 4 0	1.874	16
2 1 0	2.741	13
*/

Speaking on the content side of the channel – Karthigai Selvan, the Managing Editor of Puthiyathalaimurai TV said, “The Credibility of the channel in voicing the plight of Common man in day to day life and during the crises situations keeps us emotionally connected with the audience as a promising News broadcasting platform despite the existence of so-many channels in the market.
We have voiced for the voiceless during the crisis situations like Floods, farmers suicide, draught situation in the state etc..and that is the reason why #PT7thyear is trending in twitter today.
On programing front our Primetime debate show Nerpada Pesu commands excellent viewership. We are the only News channel offering Breakfast show and Puthu Puthu Arthangal is doing extremely well in this segment. In totality the channel assures space for everyone that attracts viewers of all ages.Our new addition in afternoon “Kala Aaivu” offers instant impact to the various issues and offers immediate solution by engaging with the government authorities and minsters.
Due to our extensive coverage during the Jallikattu issue and Jaya’s funeral, we managed to pull in reasonable volume of female audience sampling our platform and since then we have been witnessing steady rise in female viewership in prime time also.
We also managed to attract Younger audience through regular updates in our digital platform as we have more than three million followers in Facebook and huge volume of subscribers in YouTube also. The satirical show Kitchen Cabinet presented in unique way also attracts younger audience.
Our new additions like Speed News has brought in new set of audience sampling the channel and our connect with Rural audience is very strong due to farmers oriented show and Agricultural inputs”.